Desperate Housewives: Another One Run Down In The Road!
This Sunday was the mid-season finale of “Desperate Housewives,” which as usual ended with a cliff hanger. It was a good one too.
Bree’s been drinking it up, while the other girls are questioned by Chuck about Alejandro. He doesn’t know who he is yet, just that he was at Gabby’s house one night. He gets down and dirty with them, making threats to all of them. He also goes after Ben, knowing Alejandro made a cell phone call from his construction site before going missing, so he’s getting a warrant to shut it down. He said he’d have it by morning . . .
Susan meanwhile becomes a hit because of her art, and has a chance to move to New York, away from all this. She wants to go, but Mike doesn’t feel now is the time to move. They of course fight about it.
Tom and his girlfriend Jane are planning to go to Paris . . . Really Tom? You schmuck! Who takes a girlfriend to Paris after a few weeks? Anyways, Lynette tracks him down at the men’s room at the airport and begs him not to go, the kids may need him. She confesses all, and fears she may be in jail soon. He wished she had told him, but she reminded him they weren’t together and he had his new life. Jane of course catches them and when she learns Tom may not be able to go, she’s furious. She takes her ticket and says she’s going, she hopes to see him . . . .
Chuck later confronts Gabby, he’s found out just who the man is, her step father. Gabby played dumb, I honestly don’t know why she didn’t point out that her step father had been dead for years . . . . Bree finally goes to Chuck saying she’ll confess, just leave her friends alone. He refused though because he knew the way to make her suffer, was to make her friends suffer . . .
As the show ended, we see Bree get into a black car looking a tad drunk as she speeds off. Later a black car mowes Chuck down in the middle of the street! The show ends with Bree checking into a seedy motel. She has a gun and a bottle of booze. She has a vision of Mary Alice and asks her if it hurts to be dead . . . .
Between two parts of the entry: data records.
/*
[1]
# Ba2ZnIO6
Simulated powder diffraction line list, Cu Ka. Input: a cell relaxed with PBE.
Kinematic intensities with the Lorentz-polarization factor, no thermal factor.

Structural model:
abc: 10.585 10.585 10.585
angles: 32.83 32.83 32.83
Fractional coordinates of all 20 atoms:
Ba  0.124  0.124  0.124
Ba  0.290  0.290  0.290
Ba  0.710  0.710  0.710
Ba  0.876  0.876  0.876
Zn  0.405  0.405  0.405
Zn  0.595  0.595  0.595
I  0.000  0.000  0.000
I  0.500  0.500  0.500
O  0.163  0.613  0.613
O  0.204  0.204  0.717
O  0.204  0.717  0.204
O  0.283  0.796  0.796
O  0.387  0.387  0.837
O  0.387  0.837  0.387
O  0.613  0.163  0.613
O  0.613  0.613  0.163
O  0.717  0.204  0.204
O  0.796  0.283  0.796
O  0.796  0.796  0.283
O  0.837  0.387  0.387

Principal peaks in the range 15 to 90 degrees two-theta, by angle:
d/Å, two_theta, intensity
3.303, 26.99, 36
3.039, 29.39, 23
2.991, 29.87, 100
2.597, 34.53, 32
2.217, 40.69, 27
1.727, 53.02, 20

---

[2]
# Ba8P4I
Simulated powder diffraction line list, Cu Ka. Input: a cell relaxed with PBE.
Kinematic intensities with the Lorentz-polarization factor, no thermal factor.

Structural model:
abc: 9.711 9.711 9.711
angles: 60.00 60.00 60.00
Fractional coordinates of all 13 atoms:
Ba  0.394  0.394  0.394
Ba  0.394  0.394  0.819
Ba  0.394  0.819  0.394
Ba  0.415  0.862  0.862
Ba  0.819  0.394  0.394
Ba  0.862  0.415  0.862
Ba  0.862  0.862  0.415
Ba  0.862  0.862  0.862
P  0.122  0.626  0.626
P  0.626  0.122  0.626
P  0.626  0.626  0.122
P  0.626  0.626  0.626
I  0.250  0.250  0.250

Principal peaks in the range 15 to 90 degrees two-theta, by angle:
d/Å, two_theta, intensity
3.964, 22.43, 100
3.433, 25.95, 66
2.643, 33.92, 39
2.428, 37.03, 70
2.070, 43.72, 35
1.328, 71.00, 20

---

[3]
# Ba6P3I
Simulated powder diffraction line list, Cu Ka. Input: a cell relaxed with PBE.
Kinematic intensities with the Lorentz-polarization factor, no thermal factor.

Structural model:
abc: 12.733 4.646 16.676
angles: 90.00 110.89 90.00
Fractional coordinates of all 20 atoms:
Ba  0.002  0.250  0.256
Ba  0.131  0.250  0.083
Ba  0.181  0.250  0.605
Ba  0.287  0.250  0.886
Ba  0.347  0.750  0.444
Ba  0.485  0.750  0.726
Ba  0.515  0.250  0.274
Ba  0.653  0.250  0.556
Ba  0.713  0.750  0.114
Ba  0.819  0.750  0.395
Ba  0.869  0.750  0.917
Ba  0.998  0.750  0.744
P  0.025  0.250  0.882
P  0.248  0.750  0.749
P  0.420  0.250  0.586
P  0.580  0.750  0.414
P  0.752  0.250  0.251
P  0.975  0.750  0.118
I  0.382  0.750  0.080
I  0.618  0.250  0.920

Principal peaks in the range 15 to 90 degrees two-theta, by angle:
d/Å, two_theta, intensity
4.078, 21.80, 36
3.971, 22.39, 41
3.661, 24.31, 44
3.463, 25.73, 100
3.182, 28.04, 62
2.323, 38.77, 71

---

Question: Number 3 is which compound?
Answer: Ba6P3I


Entry 1:
This entry pairs a crystal structure of LaTb2Ho5Th with its computed X-ray diffraction stick pattern. Radiation: Cu Kα X-rays. Structure: a DFT-relaxed cell (GGA-PBE, Alexandria).
*/
Back to the entry.
So the show seems to be heavily hinting that Bree ran down Chuck . . . who is dead according to the previews for when the show returns. But that’s too easy! It could have been Carlos, sneaking out of rehab. Tom could have done it and jetted to Paris. Ben also had reason to want him dead as he had millions riding on the construction site. Who killed Chuck? I guess this is the new mystery that will wrap the show up.
I feel like this episode tried to redeem Tom a bit, but I still can’t forgive him. He’s still a schmuck! It also set things up for Susan to perhaps leave the lane . . . will the other girls also move away? It’s been said that the show’s final episode will fast forward to show us all the ladies futures . . . .
Crazy episode. Are all the ladies going to end up dead or in prison by season’s end? Hope not. Was it just me, or did Chuck being run down remind you of when Orsen ran down Mike years ago? Could it be? Maybe Orson recovered and found out that Chuck was messing with Bree and decided to take action.
12.06.2011 at 9:10 pm